Nicola Sturgeon: “Never be bystanders in face of hate”

The First Minister joined 200 students from schools across Scotland on the trip to Auschwitz.

Published 31st Oct 2018

Nicola Sturgeon is telling Tay News it could take her weeks to process what she saw on her visit to Auschwitz.

The First Minister joined 200 Scottish school pupils on the trip, organised by the Holocaust Educational Trust, and said it could take some time to come to terms with her experience.

She also called on people to “resolve never to be bystanders in the face of hate”.

Around 1.1 million people, including one million Jews, were murdered at Auschwitz-Birkenau, the Second World War Nazi concentration and death camp, as part of the Holocaust in which six million Jewish men, women and children were killed.

Ms Sturgeon said the attack on a synagogue in the US on Saturday where 11 people died shows anti-Semitism is not confined to history.

“The Holocaust didn't start started in everyday discrimination and anti-Semitism." - Nicola Sturgeon

She said: “What happened here (at Auschwitz-Birkenau) was one of the darkest periods in human history and it's really important that we remember all those who suffered and were murdered but it is equally important that we don't just see this as a history lesson.

“The Holocaust didn't start here, it started in the othering and stereotyping and dehumanising of Jews, it started in everyday discrimination and anti-Semitism.

“Although it was perpetrated by the Nazis, it was facilitated by hundreds of thousands of people who went along with it or turned a blind eye to it.

“Today as anti-Semitism, as intolerance and prejudice more generally starts to rear its head again in the world that we live in, I think it's all the more important that we learn the lesson of this for our own lives and our own time and for all of us to resolve never to be bystanders in the face of hate.”

She said seeing the camps for the first time brought home the scale of the “mass murder of people simply for who they were” and that personal artefacts on display from victims, such as the huge piles of human hair, shoes and spectacles as well as photos of children and babies, gave an insight into the individual lives cut short.

The trust's Lessons from Auschwitz programme gives pupils the chance to visit Auschwitz-Birkenau and pass on the lessons learned on their return.

The group heard about the history of the camps as they viewed the belongings and the vast Book of Names listing victims at Auschwitz I, set up by the Nazis in 1940, before entering the camp's gas chamber and crematorium.

The First Minister signed the visitors' book before they travelled to Birkenau, where they saw the remains of the four huge chambers which victims were told were showers before being gassed to death.

### Someone pasted data records at this point
┌──
DFT (PBE-GGA) results for a geometry-optimized SbP3 structure.

DFT total energy: -17.4 eV per cell
ΔE_f (raw): 2.919 eV/f.u.
DOS at the Fermi energy: 2.2 states/eV/f.u.

Structure (POSCAR):
```
SbP3
1.0
-1.834 1.834 5.708
1.834 -1.834 5.708
1.834 1.834 -5.708
Sb P
1 3
Direct
0.000 0.000 0.000
0.250 0.750 0.500
0.500 0.500 0.000
0.750 0.250 0.500
```

DFT (PBE-GGA) results for a geometry-optimized CaAcGeAu structure.

DFT total energy: -17.0 eV per cell
ΔE_f: -0.749 eV/atom
DOS at the Fermi energy: 1.0 states/eV/f.u.

Structure (POSCAR):
```
CaAcGeAu
1.0
0.000 3.801 3.801
3.801 0.000 3.801
3.801 3.801 0.000
Ca Ac Ge Au
1 1 1 1
Direct
0.000 0.000 0.000
0.500 0.500 0.500
0.750 0.750 0.750
0.250 0.250 0.250
```

DFT (PBE-GGA) results for a geometry-optimized CeHgAs2 structure.

DFT total energy: -17.5 eV per cell
ΔE_f: -0.486 eV/atom

Structure (POSCAR):
```
CeHgAs2
1.0
2.255 1.302 7.745
-2.255 1.302 7.745
0.000 -2.604 7.745
Ce Hg As
1 1 2
Direct
0.000 0.000 0.000
0.500 0.500 0.500
0.392 0.392 0.392
0.608 0.608 0.608
```

DFT (PBE-GGA) results for a geometry-optimized MnCoP2 structure.

DFT total energy: -27.5 eV per cell
ΔE_f: -0.109 eV/atom
DOS at the Fermi energy: 2.8 states/eV/f.u.

Structure (POSCAR):
```
MnCoP2
1.0
-1.408 1.866 4.430
1.408 -1.866 4.430
1.408 1.866 -4.430
Mn Co P
1 1 2
Direct
0.000 0.000 0.000
0.707 0.207 0.500
0.210 0.710 0.500
0.495 0.495 0.000
```
└──
### The text goes on

Rabbi Daniel Epstein held a memorial service at the end of the camp's notorious railway track, where candles were placed in memory of the dead.

Mollie Graham, 17, from Baldragon Academy in Dundee, urged people to visit the camps and witness what took place.

Materials data that have nothing to do with the text:
-- begin --
Computed, not measured: a relaxed structure of HfPa2In2 at the PBE level of DFT.

Values from the calculation:
- ΔH_f (0 K): -36 kJ/mol of formula units
- ρ: 12307 kg/m3
- Space-group type: I4/mmm, No. 139
- V: 117 Å³/cell
- Magnetic moment: 0.0 μB per cell

abc: 3.1040 3.1040 12.3818
angles: 97.20 97.20 90.00
Sites, in units of the cell vectors:
Hf  0.0000  0.0000  0.0000
Pa  0.8022  0.8022  0.6043
Pa  0.1978  0.1978  0.3957
In  0.5919  0.5919  0.1838
In  0.4081  0.4081  0.8162

---

Computed, not measured: a relaxed structure of CoSeBr2 at the PBE level of DFT.

Values from the calculation:
- ρ: 4720 kg/m3
- Formation energy from raw total energies: 340 meV/atom
- Space-group type: Cmmm, No. 65
- V: 105 Å³/cell
- Magnetic moment: 1.6 μB per cell

abc: 3.5521 3.5521 10.1282
angles: 90.00 90.00 124.95
Sites, in units of the cell vectors:
Br  0.0000  0.0000  0.0872
Br  0.0000  0.0000  0.4128
Co  0.5000  0.5000  0.2500
Se  0.5000  0.5000  0.7500

---

Computed, not measured: a relaxed structure of Te2WBr at the PBE level of DFT.

Values from the calculation:
- ρ: 8208 kg/m3
- Formation energy from raw total energies: 226 meV/atom
- Space-group type: R3m, No. 160
- V: 105 Å³/cell
- Magnetic moment: 0.0 μB per cell

abc: 11.0834 11.0834 11.0834
angles: 17.29 17.29 17.29
Sites, in units of the cell vectors:
Te  0.9995  0.9995  0.9995
Te  0.2253  0.2253  0.2253
Br  0.7756  0.7756  0.7756
W  0.4996  0.4996  0.4996

---

no.,total DFT energy (no corrections) (eV per atom)
1,-6.96
2,-3.14
3,-5.00
-- stop --

She said: “When we walked into the gas chambers, all you saw was this big empty space and the size of the furnaces.

“Seeing that there were capsules to put people into, that was pretty moving and a pretty horrible thing to see.”

Navkiran Kooner, 17, of Craigholme School, Glasgow, said: “It's made me a lot more appreciative of my life.

“To be able to see what people went through is so important because it's more than just reading out a textbook, it's real life.”

Holocaust Education Trust chief executive Karen Pollock thanked the First Minister for taking part in the visit.

She said: “Seeing this place and hearing some of the stories, it's something you carry with you for their rest of your life."